Input =
'''
VASP calculation (PBE) on MgNbSbTe2 after structural relaxation.

uncorrected formation energy	0.94	eV/f.u.
energy above the most stable polymorph in this dataset	0.000	eV per atom

Cell: 5.4131 5.4131 5.4829 Å, 90.00 90.00 90.00°
Last column: nearest neighbours and their distance in Å.
Space group P4/mmm (No. 123)
Unique sites:
Mg 0.0000 0.0000 0.0000 x1  4 Sb 3.83, 8 Te 3.85
Nb 0.5000 0.5000 0.5000 x1  4 Te 2.71, 2 Sb 2.74
Sb 0.5000 0.5000 0.0000 x1  2 Nb 2.74
Te 0.0000 0.5000 0.5000 x2  2 Nb 2.71


VASP calculation (PBE) on Ce4DyMg after structural relaxation.

energy of formation from the pure elements	0.238	eV per atom

Cell: 8.8528 8.8528 8.8528 Å, 90.00 90.00 90.00°
Last column: nearest neighbours and their distance in Å.
Space group F-43m (No. 216)
Unique sites:
Ce 0.1155 0.1155 0.1155 x16  3 Ce 2.89
Dy 0.0000 0.0000 0.5000 x4  12 Ce 3.70, 4 Mg 3.83
Mg 0.2500 0.2500 0.7500 x4  12 Ce 3.65, 4 Dy 3.83


VASP calculation (PBE) on Te3OsCl after structural relaxation.

uncorrected formation energy	9.31	eV/f.u.
energy above the most stable polymorph in this dataset	1.292	eV per atom

Cell: 5.1419 5.1419 5.1419 Å, 90.00 90.00 90.00°
Last column: nearest neighbours and their distance in Å.
Space group Pm-3m (No. 221)
Unique sites:
Te 0.0000 0.0000 0.5000 x3  2 Cl 2.57
Os 0.5000 0.5000 0.5000 x1  12 Te 3.64
Cl 0.0000 0.0000 0.0000 x1  6 Te 2.57


VASP calculation (PBE) on PuGaTc after structural relaxation.

energy above the most stable polymorph in this dataset	0.000	eV per atom
energy of formation from the pure elements	-0.251	eV per atom

Cell: 5.3297 5.8335 7.1684 Å, 90.00 90.00 90.00°
Last column: nearest neighbours and their distance in Å.
Space group Imma (No. 74)
Unique sites:
Pu 0.0000 0.2500 0.1100 x4  2 Tc 2.90, 6 Ga 3.14-3.15
Ga 0.0000 0.0000 0.5000 x4  4 Tc 2.67, 2 Ga 2.92
Tc 0.2500 0.2500 0.7500 x4  2 Tc 2.66, 4 Ga 2.67, 2 Pu 2.90


no.,Fermi-level density of states (states/eV per cell),magnetic moment (μB/atom)
1,3.06,0.0000
2,64.08,0.4465
3,4.86,0.0005
4,32.40,1.6896


Cr2RhW | PBE | optimized geometry

Calculated values
The total energy is -39.00 eV per formula unit. As for the size of the total moment: 0.000 μB/f.u.

The structure in CIF format:
```
data_Cr2RhW
_symmetry_space_group_name_H-M 'C m m 2'
_symmetry_Int_Tables_number 35
_cell_length_a 3.0933
_cell_length_b 4.2973
_cell_length_c 8.1929
_cell_angle_alpha 90.00
_cell_angle_beta 90.00
_cell_angle_gamma 90.00
loop_
_symmetry_equiv_pos_as_xyz
'x,y,z'
'-x,-y,z'
'-x,y,z'
'x,-y,z'
'x+1/2,y+1/2,z'
'-x+1/2,-y+1/2,z'
'-x+1/2,y+1/2,z'
'x+1/2,-y+1/2,z'
loop_
_atom_site_label
_atom_site_type_symbol
_atom_site_fract_x
_atom_site_fract_y
_atom_site_fract_z
Cr1 Cr 0.0000 0.0000 0.0000
Cr2 Cr 0.0000 0.5000 0.2243
Rh1 Rh 0.0000 0.0000 0.4716
W1 W 0.0000 0.5000 0.7416
```



K2Ag2Pd | PBE | optimized geometry

Calculated values
The total energy is -13.10 eV per formula unit. As for the size of the total moment: 0.000 μB/f.u.

The structure in CIF format:
```
data_K2Ag2Pd
_symmetry_space_group_name_H-M 'I m m m'
_symmetry_Int_Tables_number 71
_symmetry_space_group_name_Hall '-I 2 2'
_cell_length_a 4.7847
_cell_length_b 5.6438
_cell_length_c 10.4431
_cell_angle_alpha 90.00
_cell_angle_beta 90.00
_cell_angle_gamma 90.00
loop_
_atom_site_label
_atom_site_type_symbol
_atom_site_fract_x
_atom_site_fract_y
_atom_site_fract_z
K1 K 0.0000 0.0000 0.1975
Ag1 Ag 0.0000 0.2512 0.5000
Pd1 Pd 0.0000 0.5000 0.0000
```



ZrCd2Co | PBE | optimized geometry

Calculated values
The total energy is -16.70 eV per formula unit. As for the size of the total moment: 0.799 μB/f.u.

The structure in CIF format:
```
data_ZrCd2Co
_symmetry_space_group_name_H-M 'F m -3 m'
_symmetry_Int_Tables_number 225
_symmetry_space_group_name_Hall '-F 4 2 3'
_cell_length_a 6.6532
_cell_length_b 6.6532
_cell_length_c 6.6532
_cell_angle_alpha 90.00
_cell_angle_beta 90.00
_cell_angle_gamma 90.00
loop_
_atom_site_label
_atom_site_type_symbol
_atom_site_fract_x
_atom_site_fract_y
_atom_site_fract_z
'''
To do =
Give back the whole of the material further up verbatim.
Solution =
VASP calculation (PBE) on MgNbSbTe2 after structural relaxation.

uncorrected formation energy	0.94	eV/f.u.
energy above the most stable polymorph in this dataset	0.000	eV per atom

Cell: 5.4131 5.4131 5.4829 Å, 90.00 90.00 90.00°
Last column: nearest neighbours and their distance in Å.
Space group P4/mmm (No. 123)
Unique sites:
Mg 0.0000 0.0000 0.0000 x1  4 Sb 3.83, 8 Te 3.85
Nb 0.5000 0.5000 0.5000 x1  4 Te 2.71, 2 Sb 2.74
Sb 0.5000 0.5000 0.0000 x1  2 Nb 2.74
Te 0.0000 0.5000 0.5000 x2  2 Nb 2.71


VASP calculation (PBE) on Ce4DyMg after structural relaxation.

energy of formation from the pure elements	0.238	eV per atom

Cell: 8.8528 8.8528 8.8528 Å, 90.00 90.00 90.00°
Last column: nearest neighbours and their distance in Å.
Space group F-43m (No. 216)
Unique sites:
Ce 0.1155 0.1155 0.1155 x16  3 Ce 2.89
Dy 0.0000 0.0000 0.5000 x4  12 Ce 3.70, 4 Mg 3.83
Mg 0.2500 0.2500 0.7500 x4  12 Ce 3.65, 4 Dy 3.83


VASP calculation (PBE) on Te3OsCl after structural relaxation.

uncorrected formation energy	9.31	eV/f.u.
energy above the most stable polymorph in this dataset	1.292	eV per atom

Cell: 5.1419 5.1419 5.1419 Å, 90.00 90.00 90.00°
Last column: nearest neighbours and their distance in Å.
Space group Pm-3m (No. 221)
Unique sites:
Te 0.0000 0.0000 0.5000 x3  2 Cl 2.57
Os 0.5000 0.5000 0.5000 x1  12 Te 3.64
Cl 0.0000 0.0000 0.0000 x1  6 Te 2.57


VASP calculation (PBE) on PuGaTc after structural relaxation.

energy above the most stable polymorph in this dataset	0.000	eV per atom
energy of formation from the pure elements	-0.251	eV per atom

Cell: 5.3297 5.8335 7.1684 Å, 90.00 90.00 90.00°
Last column: nearest neighbours and their distance in Å.
Space group Imma (No. 74)
Unique sites:
Pu 0.0000 0.2500 0.1100 x4  2 Tc 2.90, 6 Ga 3.14-3.15
Ga 0.0000 0.0000 0.5000 x4  4 Tc 2.67, 2 Ga 2.92
Tc 0.2500 0.2500 0.7500 x4  2 Tc 2.66, 4 Ga 2.67, 2 Pu 2.90


no.,Fermi-level density of states (states/eV per cell),magnetic moment (μB/atom)
1,3.06,0.0000
2,64.08,0.4465
3,4.86,0.0005
4,32.40,1.6896


Cr2RhW | PBE | optimized geometry

Calculated values
The total energy is -39.00 eV per formula unit. As for the size of the total moment: 0.000 μB/f.u.

The structure in CIF format:
```
data_Cr2RhW
_symmetry_space_group_name_H-M 'C m m 2'
_symmetry_Int_Tables_number 35
_cell_length_a 3.0933
_cell_length_b 4.2973
_cell_length_c 8.1929
_cell_angle_alpha 90.00
_cell_angle_beta 90.00
_cell_angle_gamma 90.00
loop_
_symmetry_equiv_pos_as_xyz
'x,y,z'
'-x,-y,z'
'-x,y,z'
'x,-y,z'
'x+1/2,y+1/2,z'
'-x+1/2,-y+1/2,z'
'-x+1/2,y+1/2,z'
'x+1/2,-y+1/2,z'
loop_
_atom_site_label
_atom_site_type_symbol
_atom_site_fract_x
_atom_site_fract_y
_atom_site_fract_z
Cr1 Cr 0.0000 0.0000 0.0000
Cr2 Cr 0.0000 0.5000 0.2243
Rh1 Rh 0.0000 0.0000 0.4716
W1 W 0.0000 0.5000 0.7416
```



K2Ag2Pd | PBE | optimized geometry

Calculated values
The total energy is -13.10 eV per formula unit. As for the size of the total moment: 0.000 μB/f.u.

The structure in CIF format:
```
data_K2Ag2Pd
_symmetry_space_group_name_H-M 'I m m m'
_symmetry_Int_Tables_number 71
_symmetry_space_group_name_Hall '-I 2 2'
_cell_length_a 4.7847
_cell_length_b 5.6438
_cell_length_c 10.4431
_cell_angle_alpha 90.00
_cell_angle_beta 90.00
_cell_angle_gamma 90.00
loop_
_atom_site_label
_atom_site_type_symbol
_atom_site_fract_x
_atom_site_fract_y
_atom_site_fract_z
K1 K 0.0000 0.0000 0.1975
Ag1 Ag 0.0000 0.2512 0.5000
Pd1 Pd 0.0000 0.5000 0.0000
```



ZrCd2Co | PBE | optimized geometry

Calculated values
The total energy is -16.70 eV per formula unit. As for the size of the total moment: 0.799 μB/f.u.

The structure in CIF format:
```
data_ZrCd2Co
_symmetry_space_group_name_H-M 'F m -3 m'
_symmetry_Int_Tables_number 225
_symmetry_space_group_name_Hall '-F 4 2 3'
_cell_length_a 6.6532
_cell_length_b 6.6532
_cell_length_c 6.6532
_cell_angle_alpha 90.00
_cell_angle_beta 90.00
_cell_angle_gamma 90.00
loop_
_atom_site_label
_atom_site_type_symbol
_atom_site_fract_x
_atom_site_fract_y
_atom_site_fract_z